What is needed: print the whole of the notes further below without additions.

-- begin --
Model A:
{"formula": "C2H2NO3S", "method": "ωB97M-V with the def2-TZVPD basis set", "symbols": ["C", "C", "N", "O", "O", "O", "S", "H", "H"], "positions_angstrom": [[1.08, -1.14, 0.18], [0.00, -0.16, 0.39], [0.53, -1.20, 1.32], [3.31, -2.42, -1.68], [1.86, -0.80, -2.83], [1.01, -3.05, -2.30], [1.97, -2.00, -2.03], [0.23, 0.88, 0.61], [-0.98, -0.33, -0.04]], "total_charge": -1, "mol_weight_g_mol": 120.1, "e_homo_ha": [-0.1626, -0.1626], "gap_ha": [0.296, 0.296]}

***

Model B:
{"formula": "C2H2NO3S", "method": "ωB97M-V with the def2-TZVPD basis set", "symbols": ["C", "C", "N", "O", "O", "O", "S", "H", "H"], "positions_angstrom": [[0.49, -0.10, -0.86], [-0.99, -0.95, 0.14], [0.71, 0.98, -0.32], [0.85, -0.85, -1.73], [1.64, 2.08, 1.70], [-1.52, -0.18, 0.94], [0.70, 2.30, 0.57], [-1.46, -1.28, -0.88], [-0.43, -2.00, 0.45]], "total_charge": -1, "mol_weight_g_mol": 120.1, "e_homo_ha": [-0.1204, -0.1138], "gap_ha": [0.253, 0.245]}

***

Taking the most stable structure as the zero point, the relative energies in eV are model A 0.123; model B 0.000.

***

Model A:
{"formula": "CH4N2O3S", "method": "ωB97M-V with the def2-TZVPD basis set", "symbols": ["C", "N", "N", "O", "O", "O", "S", "H", "H", "H", "H"], "positions_angstrom": [[-0.55, 0.73, -0.61], [-1.84, -0.04, 0.24], [1.37, -0.21, 0.98], [-0.55, 1.87, -0.82], [1.96, 0.02, -1.36], [0.35, -1.80, -0.47], [0.90, -0.48, -0.56], [-2.73, 0.69, 0.07], [-1.90, -0.93, -0.26], [0.74, -0.18, 1.74], [2.24, 0.32, 1.05]], "total_charge": 0, "mol_weight_g_mol": 124.1, "smiles": "NC(=O)S(N)(=O)=O", "e_homo_ha": -0.3761, "gap_ha": 0.382}

***

Model B:
{"formula": "CH4N2O3S", "method": "ωB97M-V with the def2-TZVPD basis set", "symbols": ["C", "N", "N", "O", "O", "O", "S", "H", "H", "H", "H"], "positions_angstrom": [[-1.85, 0.78, -0.65], [-2.24, 1.48, 0.37], [-0.79, 0.17, -0.70], [1.50, -2.83, 0.37], [2.12, 0.28, 1.26], [2.19, -0.20, -1.19], [1.58, -0.34, 0.09], [2.36, -3.09, 0.74], [-1.45, 1.96, 0.86], [-2.98, 2.14, 0.36], [-0.44, -0.35, -1.52]], "total_charge": 0, "mol_weight_g_mol": 124.1, "e_homo_ha": [-0.3837, -0.3143], "gap_ha": [0.341, 0.227]}

***

Taking the most stable structure as the zero point, the relative energies in eV are model A 0.000; model B 2.995.

***

Model A:
{"formula": "C3H4BrN", "method": "ωB97M-V with the def2-TZVPD basis set", "symbols": ["C", "C", "C", "N", "Br", "H", "H", "H", "H"], "positions_angstrom": [[0.73, -1.12, -0.26], [-0.38, 0.17, 0.84], [-0.03, 0.57, -0.68], [0.36, -1.10, 0.93], [-1.51, 1.05, -1.73], [1.53, -1.75, -0.80], [-0.04, 0.88, 1.47], [-1.37, -0.01, 0.94], [0.72, 1.30, -0.71]], "total_charge": 0, "mol_weight_g_mol": 134.0, "e_homo_ha": -0.3410, "gap_ha": 0.374}

***

Model B:
{"formula": "C3H4BrN", "method": "ωB97M-V with the def2-TZVPD basis set", "symbols": ["C", "C", "C", "N", "Br", "H", "H", "H", "H"], "positions_angstrom": [[0.65, 1.64, -0.32], [0.13, -1.00, -0.03], [-0.50, 0.36, 0.11], [1.34, 2.49, -0.62], [-1.19, 0.72, 1.80], [0.94, -1.39, 0.62], [0.55, -1.25, -1.00], [-0.55, -1.92, 0.10], [-1.37, 0.35, -0.65]], "total_charge": 0, "mol_weight_g_mol": 134.0, "smiles": "C[C@@H](Br)C#N", "e_homo_ha": -0.4044, "gap_ha": 0.427}

***

Model C:
{"formula": "C3H4BrN", "method": "ωB97M-V with the def2-TZVPD basis set", "symbols": ["C", "C", "C", "N", "Br", "H", "H", "H", "H"], "positions_angstrom": [[0.45, 0.56, -1.41], [-0.34, -0.16, -0.62], [-0.06, -0.25, 0.73], [0.88, -0.54, 1.43], [-2.18, -0.01, 2.13], [0.30, 0.55, -2.47], [1.24, 1.16, -1.02], [-1.03, -0.76, -1.16], [0.73, -0.54, 2.40]], "total_charge": 0, "mol_weight_g_mol": 134.0, "e_homo_ha": [-0.3464, -0.3464], "gap_ha": [0.305, 0.305]}

***

Taking the most stable structure as the zero point, the relative energies in eV are model A 1.466; model B 0.000; model C 0.348.

***

Model A:
-- stop --

Model A:
{"formula": "C2H2NO3S", "method": "ωB97M-V with the def2-TZVPD basis set", "symbols": ["C", "C", "N", "O", "O", "O", "S", "H", "H"], "positions_angstrom": [[1.08, -1.14, 0.18], [0.00, -0.16, 0.39], [0.53, -1.20, 1.32], [3.31, -2.42, -1.68], [1.86, -0.80, -2.83], [1.01, -3.05, -2.30], [1.97, -2.00, -2.03], [0.23, 0.88, 0.61], [-0.98, -0.33, -0.04]], "total_charge": -1, "mol_weight_g_mol": 120.1, "e_homo_ha": [-0.1626, -0.1626], "gap_ha": [0.296, 0.296]}

***

Model B:
{"formula": "C2H2NO3S", "method": "ωB97M-V with the def2-TZVPD basis set", "symbols": ["C", "C", "N", "O", "O", "O", "S", "H", "H"], "positions_angstrom": [[0.49, -0.10, -0.86], [-0.99, -0.95, 0.14], [0.71, 0.98, -0.32], [0.85, -0.85, -1.73], [1.64, 2.08, 1.70], [-1.52, -0.18, 0.94], [0.70, 2.30, 0.57], [-1.46, -1.28, -0.88], [-0.43, -2.00, 0.45]], "total_charge": -1, "mol_weight_g_mol": 120.1, "e_homo_ha": [-0.1204, -0.1138], "gap_ha": [0.253, 0.245]}

***

Taking the most stable structure as the zero point, the relative energies in eV are model A 0.123; model B 0.000.

***

Model A:
{"formula": "CH4N2O3S", "method": "ωB97M-V with the def2-TZVPD basis set", "symbols": ["C", "N", "N", "O", "O", "O", "S", "H", "H", "H", "H"], "positions_angstrom": [[-0.55, 0.73, -0.61], [-1.84, -0.04, 0.24], [1.37, -0.21, 0.98], [-0.55, 1.87, -0.82], [1.96, 0.02, -1.36], [0.35, -1.80, -0.47], [0.90, -0.48, -0.56], [-2.73, 0.69, 0.07], [-1.90, -0.93, -0.26], [0.74, -0.18, 1.74], [2.24, 0.32, 1.05]], "total_charge": 0, "mol_weight_g_mol": 124.1, "smiles": "NC(=O)S(N)(=O)=O", "e_homo_ha": -0.3761, "gap_ha": 0.382}

***

Model B:
{"formula": "CH4N2O3S", "method": "ωB97M-V with the def2-TZVPD basis set", "symbols": ["C", "N", "N", "O", "O", "O", "S", "H", "H", "H", "H"], "positions_angstrom": [[-1.85, 0.78, -0.65], [-2.24, 1.48, 0.37], [-0.79, 0.17, -0.70], [1.50, -2.83, 0.37], [2.12, 0.28, 1.26], [2.19, -0.20, -1.19], [1.58, -0.34, 0.09], [2.36, -3.09, 0.74], [-1.45, 1.96, 0.86], [-2.98, 2.14, 0.36], [-0.44, -0.35, -1.52]], "total_charge": 0, "mol_weight_g_mol": 124.1, "e_homo_ha": [-0.3837, -0.3143], "gap_ha": [0.341, 0.227]}

***

Taking the most stable structure as the zero point, the relative energies in eV are model A 0.000; model B 2.995.

***

Model A:
{"formula": "C3H4BrN", "method": "ωB97M-V with the def2-TZVPD basis set", "symbols": ["C", "C", "C", "N", "Br", "H", "H", "H", "H"], "positions_angstrom": [[0.73, -1.12, -0.26], [-0.38, 0.17, 0.84], [-0.03, 0.57, -0.68], [0.36, -1.10, 0.93], [-1.51, 1.05, -1.73], [1.53, -1.75, -0.80], [-0.04, 0.88, 1.47], [-1.37, -0.01, 0.94], [0.72, 1.30, -0.71]], "total_charge": 0, "mol_weight_g_mol": 134.0, "e_homo_ha": -0.3410, "gap_ha": 0.374}

***

Model B:
{"formula": "C3H4BrN", "method": "ωB97M-V with the def2-TZVPD basis set", "symbols": ["C", "C", "C", "N", "Br", "H", "H", "H", "H"], "positions_angstrom": [[0.65, 1.64, -0.32], [0.13, -1.00, -0.03], [-0.50, 0.36, 0.11], [1.34, 2.49, -0.62], [-1.19, 0.72, 1.80], [0.94, -1.39, 0.62], [0.55, -1.25, -1.00], [-0.55, -1.92, 0.10], [-1.37, 0.35, -0.65]], "total_charge": 0, "mol_weight_g_mol": 134.0, "smiles": "C[C@@H](Br)C#N", "e_homo_ha": -0.4044, "gap_ha": 0.427}

***

Model C:
{"formula": "C3H4BrN", "method": "ωB97M-V with the def2-TZVPD basis set", "symbols": ["C", "C", "C", "N", "Br", "H", "H", "H", "H"], "positions_angstrom": [[0.45, 0.56, -1.41], [-0.34, -0.16, -0.62], [-0.06, -0.25, 0.73], [0.88, -0.54, 1.43], [-2.18, -0.01, 2.13], [0.30, 0.55, -2.47], [1.24, 1.16, -1.02], [-1.03, -0.76, -1.16], [0.73, -0.54, 2.40]], "total_charge": 0, "mol_weight_g_mol": 134.0, "e_homo_ha": [-0.3464, -0.3464], "gap_ha": [0.305, 0.305]}

***

Taking the most stable structure as the zero point, the relative energies in eV are model A 1.466; model B 0.000; model C 0.348.

***

Model A: